Tips for Developing Framework Companion Documents
Information Literacy Frameworks & Standards Committee
Association of College and Research Libraries
Approved June 26, 2016, Revised February 2020
This Tip Sheet provides general guidance for the required structure of Framework Companion Documents and outlines the recommended process for creating such documents, including involvement of faculty and/or associations; gathering comments; resolving conflicting suggestions; obtaining approval from the ACRL Information Literacy Frameworks and Standards Committee (ILFSC), ACRL Standards Committee (SC), and ACRL Board; and seeking endorsement from other interested professional organizations.
This Tip Sheet is intended to provide flexibility and to reduce ambiguity and confusion about procedures, improve the efficiency in the process for all involved, and provide consistency among and credibility for the final products created by various ACRL units. It is important to note that groups wishing to update their documents should address their needs in a format most appropriate to their discipline.
This document is organized in three sections: Guidelines for Framework Companion Documents; Procedures; and Document Structure. This Tip Sheet will be maintained by the ILFSC, a subcommittee of the Standards Committee.
1. Guidelines for Subject-Specific Framework Companion Documents
A. Relationship to the Framework for Information Literacy for Higher Education
In an introductory statement, the companion documents should address the relationship between the Framework for Information Literacy for Higher Education and the companion document.
B. Relationship to Learning Standards
The companion document should also articulate a relationship with any learning standards and values that the discipline may have. The companion documents should be placed in context of the discipline’s dialogue on teaching and learning issues, as well as efforts toward ensuring equity, diversity, and inclusion.
C. Role of the ACRL Information Literacy Frameworks and Standards Committee
As the first step in the development of the Framework Companion Documents, the ACRL unit will notify the ACRL ILFSC of their intention. The ILFSC will appoint a committee member to serve as a liaison to the ACRL unit.
Upon completion of the draft document, the ACRL unit will send the document to the ILFSC to conduct a review of the document. The ILFSC will provide any comments to the ACRL unit to consider for possible changes before the document is submitted to the SC for review and transmittal to the ACRL Board for official approval.
D. Role of the ILFSC liaison
Members of the ILFSC are assigned as liaisons to ACRL units developing information literacy framework documents or standards. The liaisons convey information regarding ILFSC and/or SC policies, respond to questions, attend meetings of the committee or section (as needed), and provide support through the process of preparation or review of the document. ILFSC liaisons may contact the ILFSC and/or SC chair as needed for additional guidance.
E. Role of ACRL Standards Committee
The Framework for Information Literacy for Higher Education and any companion documents are conceptual structures for learning and teaching rather than standards for the profession. As such, the SC review of companion documents pertains to the non-content editorial reviews and process used to develop the documents, not to the content of the documents themselves. The SC receives the companion document and comments from the ILFSC and submits their recommended actions to the ACRL Board, ILFSC, and the ACRL unit that created the document.
F. Role of ACRL Board
ACRL Board reviews the recommendations from the SC and the ILFSC and makes the official decision whether to approve the companion document.
2. Document Structure
Companion documents should be drafted in a manner that articulates the relationship between the Framework for Information Literacy for Higher Education and any other relevant documents and language from within the discipline.
The article is interrupted by records of crystals:
Entry 1:
Here is a PBEsol-optimized structure of Y4ZrTe from Alexandria via LeMat-Bulk. Energies are from SCAN.

Cell and atoms, written as CIF:
```
data_Y4ZrTe
_chemical_formula_sum 'Y16 Zr4 Te4'
_cell_length_a 8.786
_cell_length_b 8.786
_cell_length_c 8.786
_cell_angle_alpha 90.00
_cell_angle_beta 90.00
_cell_angle_gamma 90.00
_space_group_name_H-M_alt 'F -4 3 m'
_space_group_IT_number 216
_space_group_name_Hall 'F -4 2 3'
loop_
_atom_site_label
_atom_site_type_symbol
_atom_site_fract_x
_atom_site_fract_y
_atom_site_fract_z
Y1 Y 0.123 0.123 0.377
Zr1 Zr 0.250 0.250 0.750
Te1 Te 0.000 0.000 0.000
```

Calculated values
- formation energy without anion corrections (eV/atom) = 0.32
- total magnetic moment (Bohr magnetons per cell) = 3.87

Entry 2:
Here is a PBEsol-optimized structure of Zn3Te from Alexandria via LeMat-Bulk. Energies are from SCAN.

Cell and atoms, written as CIF:
```
data_Zn3Te
_chemical_formula_sum 'Zn6 Te2'
_cell_length_a 3.773
_cell_length_b 3.773
_cell_length_c 11.565
_cell_angle_alpha 90.00
_cell_angle_beta 90.00
_cell_angle_gamma 90.00
_space_group_name_H-M_alt 'I 4/m m m'
_space_group_IT_number 139
_space_group_name_Hall '-I 4 2'
loop_
_atom_site_label
_atom_site_type_symbol
_atom_site_fract_x
_atom_site_fract_y
_atom_site_fract_z
Zn1 Zn 0.000 0.000 0.000
Zn2 Zn 0.000 0.500 0.250
Te1 Te 0.000 0.000 0.500
```

Calculated values
- formation energy without anion corrections (eV/atom) = 0.23
- total magnetic moment (Bohr magnetons per cell) = 0.00

Entry 3:
Here is a PBEsol-optimized structure of ZnTe7 from Alexandria via LeMat-Bulk. Energies are from SCAN.

Cell and atoms, written as CIF:
```
data_ZnTe7
_chemical_formula_sum 'Zn4 Te28'
_cell_length_a 9.406
_cell_length_b 9.406
_cell_length_c 9.406
_cell_angle_alpha 90.00
_cell_angle_beta 90.00
_cell_angle_gamma 90.00
_space_group_name_H-M_alt 'F m -3 m'
_space_group_IT_number 225
_space_group_name_Hall '-F 4 2 3'
loop_
_atom_site_label
_atom_site_type_symbol
_atom_site_fract_x
_atom_site_fract_y
_atom_site_fract_z
Zn1 Zn 0.000 0.000 0.000
Te1 Te 0.000 0.000 0.500
Te2 Te 0.000 0.250 0.250
```

Calculated values
- formation energy without anion corrections (eV/atom) = 0.46
- total magnetic moment (Bohr magnetons per cell) = 0.00

----------

# 1
# CdGe2Pt | Alexandria via LeMat-Bulk | PBE | optimized geometry
# Formation energy in meV/atom: -7.9
# Calculated volume in Å³ per cell: 323.4
data_CdGe2Pt
_space_group_name_H-M_alt 'I -4 2 d'
_space_group_IT_number 122
_space_group_name_Hall 'I -4 2bw'
_cell_length_a 4.386
_cell_length_b 4.386
_cell_length_c 16.811
_cell_angle_alpha 90.00
_cell_angle_beta 90.00
_cell_angle_gamma 90.00
loop_
_atom_site_label
_atom_site_type_symbol
_atom_site_fract_x
_atom_site_fract_y
_atom_site_fract_z
Cd1 Cd 0.000 0.000 0.000
Ge1 Ge 0.203 0.250 0.625
Pt1 Pt 0.000 0.000 0.500

---

# 2
# CdGePt2 | Alexandria via LeMat-Bulk | PBE | optimized geometry
# Formation energy in meV/atom: -273.5
# Calculated volume in Å³ per cell: 67.6
A Framework Companion Document should:
● Include an introduction and/or appendix that generally describes:
○ scope and purpose of the document
○ disciplines and fields of study addressed
○ students addressed (e.g., undergraduates, distance learners, etc.)
○ intended audience for the document
Misplaced calculated crystals.
'''
# Cs3Na2ReO6

A geometry-optimized Cs3Na2ReO6 structure (GGA-PBE, OQMD).

Lattice parameters (Å, degrees): 6.9579 6.9579 5.8371 97.28 97.28 121.53
Closest atoms and distances in Å follow each position.
Fractional coordinates of all 12 atoms:
Cs1 0.6777 0.3223 0.0000  6 O 2.89-3.04
Cs2 0.3223 0.6777 0.0000  6 O 2.89-3.04
Cs3 0.5000 0.5000 0.5000  6 O 2.88-3.10
Na1 0.8861 0.1139 0.5000  4 O 2.27-2.34
Na2 0.1139 0.8861 0.5000  4 O 2.27-2.34
O1 0.8128 0.8128 0.1974  1 Re 1.93
O2 0.2677 0.0435 0.1994  1 Re 1.92
O3 0.0435 0.2677 0.1994  1 Re 1.92
O4 0.9565 0.7323 0.8006  1 Re 1.92
O5 0.7323 0.9565 0.8006  1 Re 1.92
O6 0.1872 0.1872 0.8026  1 Re 1.93
Re1 0.0000 0.0000 0.0000  6 O 1.92-1.93

Computed properties:
As for the space group: C2/m, No. 12. The energy above the lowest structure with this stoichiometry comes out at 0 meV/atom. The total magnetic moment is 0.00 μB/cell. As for the density: 5189 kg/m³.

# LiBe2W

A geometry-optimized LiBe2W structure (GGA-PBE, OQMD).

Lattice parameters (Å, degrees): 3.9312 3.9312 3.9312 60.00 60.00 60.00
Closest atoms and distances in Å follow each position.
Fractional coordinates of all 4 atoms:
Be1 0.0000 0.0000 0.0000  4 W 2.41, 4 Be 2.41
Be2 0.7500 0.7500 0.7500  4 Li 2.41, 4 Be 2.41
Li1 0.5000 0.5000 0.5000  4 Be 2.41, 4 W 2.41
W1 0.2500 0.2500 0.2500  4 Li 2.41, 4 Be 2.41

Computed properties:
As for the space group: F-43m, No. 216. The total magnetic moment is 0.34 μB/cell. As for the density: 8071 kg/m³. The calculation puts the total energy at -5.005 eV per atom.

* * * * *

VASP calculation (PBE with a Hubbard U) on an optimized crystal structure of DyNiPdO4.

Cell: 6.1555 6.1555 6.1555 Å, 113.84 110.91 103.82°
Sites, in units of the cell vectors:
Dy1 0.5000 0.0000 0.0000
Dy2 0.5000 0.5000 0.5000
Ni1 0.0465 0.2965 0.7500
Ni2 0.9535 0.7035 0.2500
'''
○ strategies for connecting with discipline-specific work around equity, diversity, and inclusion
○ relationship of the companion document to the Framework
○ special challenges related to information literacy in that discipline
○ sources used in preparation of the document
○ brief description and timeline of the development process.
● Describe measurable assessment strategies appropriate to the discipline and purpose of the document.
● Have a title in the following format: “Companion Document to the Framework for Information Literacy for Higher Education: INSERT SUBJECT HERE”
3. Procedures
The procedures that follow are descriptive of the recommended approach to developing Framework Companion Documents. Some deviation from these procedures is anticipated because different ACRL units have their own internal procedures and collaboration with faculty or associations demands flexibility on the part of librarians and ACRL.
A. Procedure to Initiate the Process
ACRL units wishing to develop Framework Companion Documents should complete these actions as the first steps:
- Contact the chair of the ILFSC and state their intention to begin work on Framework Companion Documents, including the scope of the planned document and information about any other or professional organizations with which they plan to partner. The Chair will assign a committee member who will serve as a liaison to the ILFSC and advise and answer questions regarding procedures and timelines. The ILFSC will refer the unit to the Checklist for Developing Framework Companion Documents which will help to track the steps involved in this process.
- The committee or task force may also include faculty representatives as advisors or consultants, as appropriate. The ACRL Liaison Activities website provides information about established relationships ACRL has with other organizations that may be helpful for outreach purposes.
B. Recommendations for the Development Process
The following components are recommended for the development process but may vary by the needs of the ACRL unit and/or discipline:
- Review both the scholarly literature in the discipline and related conversations to identify faculty and stakeholder interest, existing or developing learning objectives and threshold concepts for the discipline, and any accreditation standards for the discipline and related programs.
- Consult with any appropriate subject-specific library associations (e.g., Medical Library Association, American Association of Law Libraries, American Chemical Society’s Chemical Information Division, and various sections of the Special Library Association) or appropriate units elsewhere in ALA.
- Consult with faculty and associations, particularly leaders of relevant teaching/learning focused committees or task forces within such organizations.
- Review problems related to equity, diversity, and inclusion in the discipline as well as any ongoing efforts to remedy those barriers.
- Initial review of the draft document by the ACRL unit’s leadership (e.g., a Section’s Executive Committee).
- Distribute a draft of the companion document broadly and solicit comments from librarians, other library organizations, and from faculty and organizations (e.g. through C&RL News, ACRL Insider blog, a Section’s discussion list, Section’s website, and/or Section’s newsletter, etc.).
C. Procedure for Review and Approval
The Framework Companion Documents need to obtain approval from several ACRL groups as follows:
- The ACRL unit’s leadership
- The ACRL Information Literacy Frameworks & Standards Committee
- The ACRL Standards Committee
The ACRL unit, as the group with appropriate expertise, will provide the primary review of the substance and content of the document. Once approved by the ACRL unit, the document should be forwarded along with the “Transmittal Sheet for Draft Standards and Guidelines” to the ILFSC. The ILFSC reviews the document paying particular attention to the structure as outlined above, readability of the content of the document, and for conformity to the processes in this Tip Sheet.
The ILFSC may seek additional information from the ACRL unit submitting the document or may provide suggestions or recommendations for the ACRL unit to consider. If no revisions are needed, the ILFSC will forward the document and transmittal sheet with a recommendation to the SC.
The SC will review the document for conformity to the overall processes for development of standards, guidelines, and frameworks and other relevant ACRL and ACRL unit policies. They will submit their committee’s review, the ILFSC’s review, and a final recommendation to the ACRL Board for its action.
The ACRL Board has the authority to approve or deny approval to a set of Framework Companion Documents. The ACRL Board will convey its decision to the ACRL unit initiating the document, the ILFSC, the SC, and the ACRL staff responsible for the Standards and Guidelines website. If approval is denied, the ACRL unit and the ILFSC may choose to meet to discuss how to address the concerns, and the ACRL unit may choose to revise and resubmit the document for approval.
D. Procedure for Publication and Announcement
Once approved by the ACRL Board, the Framework Companion Documents may be officially announced. Possible avenues include:
● Publishing the document on the unit's web site.
● Creating a link to the document on the ACRL Standards, Guidelines, and Frameworks Web page as a sub-listing underneath the Framework for Information Literacy for Higher Education.
● Submitting a short news article with the URL to C&RL News.
● Submitting for inclusion in the Instruction Section's Information Literacy in the Disciplines wiki.
● Submitting a short news article to other relevant professional organizations.
E. Procedure for Endorsements
Other professional organizations may be interested in endorsing the Framework Companion Documents at any point in the process. ACRL is interested in obtaining endorsements from other professional and education-related organizations. Following the ACRL Guide to Policies and Procedures, units need to obtain ACRL Board approval before initiating or approving any related endorsements. Contact the ACRL Executive Director to discuss how to handle external requests or proactively initiate the process.